=====
The following is a PBE calculation of a geometry-optimized CuSiMoPt structure, from OQMD via LeMat-Bulk.

abc: 6.1239 6.1239 6.1239
angles: 90.00 90.00 90.00
Closest atoms and distances in Å follow each position.
Space group F-43m (No. 216)
Asymmetric unit:
Cu 0.0000 0.0000 0.0000  4 Si 2.65, 4 Pt 2.65
Si 0.2500 0.2500 0.7500  4 Mo 2.65, 4 Cu 2.65
Mo 0.0000 0.0000 0.5000  4 Pt 2.65, 4 Si 2.65
Pt 0.2500 0.2500 0.2500  4 Mo 2.65, 4 Cu 2.65

Values from the calculation:
* calculated density: 11.1 g cm⁻³
* magnetization: 0.4 μB/f.u.
* V: 14.35 Å³ per atom
* excess energy over the best structure of this formula in the dataset: 0.00 eV per formula unit
* crystal system: cubic

* * * * *

DFT (GGA-PBE) results for a relaxed structure of AsPbAu2.

Cell lengths 6.466, 6.466, 6.466 Å; angles 38.67, 38.67, 38.67 degrees
Sites, in units of the cell vectors:
As (0.000, 0.000, 0.000)
Pb (0.827, 0.827, 0.827)
Au (0.399, 0.399, 0.399)
Au (0.602, 0.602, 0.602)

Calculated values
- DOS(E_F) (states/eV per cell) = 1.20
- density (Mg/m³) = 11.84
- energy relative to the elements (eV per atom) = 0.0497
- symmetry = No. 160
- raw total energy (Ry/atom) = -0.270
- calculated volume (Å³/cell) = 95



DFT (GGA-PBE) results for a relaxed structure of TlZnCdF6.

Cell lengths 5.776, 5.776, 9.465 Å; angles 90.00, 90.00, 120.00 degrees
Sites, in units of the cell vectors:
Tl (0.333, 0.667, 0.250)
Tl (0.667, 0.333, 0.750)
Zn (0.333, 0.667, 0.750)
Zn (0.667, 0.333, 0.250)
Cd (0.000, 0.000, 0.000)
Cd (0.000, 0.000, 0.500)
F (0.043, 0.356, 0.629)
F (0.043, 0.687, 0.871)
F (0.313, 0.356, 0.871)
F (0.313, 0.957, 0.629)
F (0.356, 0.043, 0.129)
F (0.356, 0.313, 0.371)
F (0.644, 0.687, 0.629)
F (0.644, 0.957, 0.871)
F (0.687, 0.043, 0.371)
F (0.687, 0.644, 0.129)
F (0.957, 0.313, 0.129)
F (0.957, 0.644, 0.371)

Calculated values
- DOS(E_F) (states/eV per cell) = 6.29
- density (Mg/m³) = 6.03
- symmetry = No. 163
- raw total energy (Ry/atom) = -0.278
- calculated volume (Å³/cell) = 274



DFT (GGA-PBE) results for a relaxed structure of GdPaFeOs.

Cell lengths 4.824, 4.824, 4.824 Å; angles 60.00, 60.00, 60.00 degrees
Sites, in units of the cell vectors:
Gd (0.000, 0.000, 0.000)
Pa (0.500, 0.500, 0.500)
Fe (0.250, 0.250, 0.250)
Os (0.750, 0.750, 0.750)

Calculated values
- DOS(E_F) (states/eV per cell) = 3.49
- density (Mg/m³) = 13.27
- energy relative to the elements (eV per atom) = -0.0545
- symmetry = No. 216
- raw total energy (Ry/atom) = -0.799
- calculated volume (Å³/cell) = 79

* * * * *

Record 1
Compound: Tb6TlSe3
Source: the Alexandria database
Functional: GGA-PBE
Structure: relaxed

Output
Calculated total energy = -5.1321 eV/atom
Formation energy from raw total energies = -1072 meV/atom
Crystal system = monoclinic
Symmetry = P2_1/m
Magnetization = 0.068 μB per atom

a b c (Å): 11.975 3.961 12.146
angles (deg): 90.00 107.57 90.00
Positions (direct):
Tb 0.001 0.250 0.358
Tb 0.119 0.250 0.931
Tb 0.224 0.750 0.263
Tb 0.298 0.750 0.748
Tb 0.364 0.250 0.527
Tb 0.420 0.750 0.094
Tb 0.580 0.250 0.906
Tb 0.636 0.750 0.473
Tb 0.702 0.250 0.252
Tb 0.776 0.250 0.737
Tb 0.881 0.750 0.069
Tb 0.999 0.750 0.642
Tl 0.449 0.250 0.305
Tl 0.551 0.750 0.695
Se 0.060 0.250 0.146
Se 0.167 0.750 0.492
Se 0.352 0.250 0.922
Se 0.648 0.750 0.078
Se 0.833 0.250 0.508
Se 0.940 0.750 0.854

=====

Record 2
Compound: ZrI2N2
Source: the Alexandria database
Functional: GGA-PBE
Structure: relaxed

Output
Calculated total energy = -4.8776 eV/atom
Formation energy from raw total energies = 782 meV/atom
Crystal system = tetragonal
Symmetry = P4/mmm
Offset from the most stable computed form = 179 meV per atom
Magnetization = 0.752 μB per atom

a b c (Å): 5.920 5.920 4.095
angles (deg): 90.00 90.00 90.00
Positions (direct):
Zr 0.000 0.000 0.000
I 0.000 0.500 0.000
I 0.500 0.000 0.000
N 0.000 0.000 0.500
N 0.500 0.500 0.500

=====

Record 3
Compound: MnVRu2Au
Source: the Alexandria database
Functional: GGA-PBE
Structure: relaxed

Output
Formation energy = 2035 meV/atom
=====

Write out every line further up that contains the word "the".

Values from the calculation:
* excess energy over the best structure of this formula in the dataset: 0.00 eV per formula unit
Sites, in units of the cell vectors:
- energy relative to the elements (eV per atom) = 0.0497
Sites, in units of the cell vectors:
Sites, in units of the cell vectors:
- energy relative to the elements (eV per atom) = -0.0545
Source: the Alexandria database
Source: the Alexandria database
Offset from the most stable computed form = 179 meV per atom
Source: the Alexandria database